

Norwich conference explores Christian witness

JohnBettsWeb2007: Social action and evangelism as part of the Christian witness in Norwich was the subject tackled by a range of speakers at the Transforming Norwich conference on Saturday June 2. KEITH MORRIS reports.
Over 70 representatives from churches and Christian organizations across greater Norwich heard Transforming Norwich chairman John Betts (pictured right) opening the conference by saying: “Transforming Norwich is here to be of benefit to the wider community. As churches where we can work together we should work together. We should also work together with the statutory and voluntary agencies and help Norwich become the fine community we all want it to be.”
In the first of three panel presentations and discussions, YMCA Norfolk chief executive, John Drake, speaking on social action, said: “The challenge is not should but how we engage in social action. Our job is to display God’s love to those outside the church. Make sure you display your DNA, be who you are.”
Bob Cronk, head of community services at Norwich City Council, said: “Norwich is at a crossroads. It contains the most deprived areas within the whole Eastern region. The City Council values the strong partnership with Transforming Norwich and the city’s churches but would like to see that at a neighbourhood level and really making a difference.”
TNConferenceJune07WebNorwich Cathedral Dean, Very Rev Graham Smith, said: “As part of the Norwich Local Strategic Community Partnership Board, we see an opportunity to move Norwich to the next level of economic development. A study by Will Hutton of the Work Foundation concluded that the key is to increase our capacity in the knowledge economy. Some 41% of local people are already employed in the knowledge economy with the media, UEA and the John Innes research centre as examples.
“The Board wants all of our communities to move forward together, particularly in the most deprived areas. We are looking to the existing community, including churches, for ideas on how we might expand the local knowledge economy.”
Opening the second panel, on Public Witness, Eldred Willey, of Christian Aid, said: “Campaigning is the public face of the solidarity we have with the poorest people across the world. We will be campaigning in the open air about climate change over the next few months.”
BegleyBettsWilleyWebMajor Ray Begley, from the Salvation Army, (pictured right) said: “125 years ago William Booth visited Norwich and said: ‘Get a drum and rouse the people of Norwich and tell them the good news of Jesus Christ.’ We are still doing just that today.
“When we go on the streets, we do not talk much but it is all about music, drama and action. There are more people shopping in Norwich on a Sunday than in church. We must take the Gospel to them. Some 41% of people say that they would go to church if only someone asked them to.”
John Betts said: “Speaking out is not a popular activity but the church which does not have a prophetic edge is in danger of failing the Lord. We should speak out about climate change, poverty, same sex marriages and abortion. But we must maintain respect for each other and our different opinions. Attack the issues not the person.”
In the final panel on Evangelism, Norwich YFC director Mark Tuma, said: “If we are not engaged in evangelism as well as social action we have missed the point.
“We can’t be happy with just 5% of our city’s population attending church. We may have allowed out churches to become clubhouses for the comfortable. We need a new approach for a new generation. Each age-group needs a different approach and every congregation member should be missionary-focused. Events like Reality and Hope ’08 can transform those who take part into missionaries.”
GeoffLawtonWebGeoff Lawton leader of Alpha Norfolk and pastor of Norwich Vineyard, (pictured right) said: “Alpha is an invitation to explore Christianity. It invites people to come and find out what it means to follow Christ. We have fun and build relationships, which are what keep people in churches.”
Rev Stephen Mawditt of the Fountain of Life at Ashill and organizer of the JJohn Just Ten Mission, said: “Putting on an event we can invite people to, is a way of helping people muster up the courage to do that that.
“Big events often give us the opportunity to get behind something and take a Kingdom perspective. It can be a cathartic moment and sow seeds which we often do not know about.”
The panel presentations were followed by small group discussions on the topics raised, followed by the Transforming Norwich AGM.
Pictured are the panels and speakers at the Transforming Norwich conference.
-- Data records that have nothing to do with the article --
<<<
ORCA calculation (ωB97M-V/def2-TZVPD) on an isolated molecule of C8H12N2SSi at a distorted geometry.

Geometry (Å):
C  0.08  -2.29  -0.98
C  -1.08  0.08  1.96
C  -0.54  -1.92  0.17
C  -0.50  0.23  0.81
C  -1.21  -2.49  1.20
C  0.10  3.09  0.00
C  -0.14  0.85  -2.13
C  2.39  0.97  -0.19
N  0.63  -2.56  -1.95
N  -1.44  -3.82  1.36
Si  0.46  1.26  -0.40
S  -1.68  -1.45  2.53
H  -1.11  0.79  2.78
H  -0.72  3.57  -0.77
H  -0.35  3.30  0.96
H  0.92  3.63  -0.29
H  -1.18  1.19  -2.22
H  0.38  1.47  -2.83
H  -0.19  -0.17  -2.48
H  2.91  1.93  -0.55
H  2.65  0.81  0.91
H  2.61  0.01  -0.75
H  -0.99  -4.44  0.75
H  -2.01  -4.03  2.13

The HOMO energy comes out at -8.5 eV. Its frontier orbital gap is 8.33 eV. The LUMO energy comes out at -0.00666 Eh. The value obtained for the energy above the lowest of the compared OMol25 structures with the same formula, charge and spin is 2.361 eV. The multiplicity is 1.

Löwdin population analysis, charges in e, atoms 1 to 2:
1 C -0.31
2 C -0.52

***

ORCA calculation (ωB97M-V/def2-TZVPD) on a cluster of 15 separate species, C60H116N4O11 in total at a distorted geometry.

Geometry (Å):
C  -12.83  -13.32  -9.81
C  -13.77  -13.65  -8.64
C  -15.08  -12.99  -9.07
O  -15.11  -13.32  -10.49
C  -13.79  -13.32  -10.99
H  -12.06  -14.08  -9.95
H  -12.29  -12.38  -9.67
H  -13.49  -13.25  -7.66
H  -13.83  -14.75  -8.58
H  -14.94  -11.96  -8.85
H  -16.02  -13.36  -8.60
H  -13.52  -12.44  -11.60
H  -13.77  -14.17  -11.68
C  -16.05  -15.49  -12.94
C  -15.00  -16.33  -13.62
C  -15.60  -17.75  -13.52
O  -16.97  -17.62  -13.20
C  -17.31  -16.25  -13.29
H  -16.06  -14.43  -13.22
H  -15.95  -15.52  -11.85
H  -14.03  -16.33  -13.15
H  -14.85  -15.99  -14.65
H  -15.21  -18.34  -12.69
H  -15.35  -18.30  -14.44
H  -18.11  -16.08  -12.56
H  -17.67  -15.92  -14.28
C  -19.57  -13.31  -10.75
C  -19.73  -13.27  -9.26
C  -18.79  -12.14  -8.69
O  -17.92  -11.78  -9.83
C  -18.16  -12.71  -10.88
H  -20.26  -12.75  -11.39
H  -19.42  -14.31  -11.17
H  -19.40  -14.27  -8.87
H  -20.72  -12.97  -8.95
H  -18.18  -12.52  -7.90
H  -19.34  -11.28  -8.43
H  -17.45  -13.54  -10.81
H  -18.02  -12.16  -11.80
C  -14.70  -8.29  -11.69
C  -15.19  -9.26  -10.55
C  -16.04  -10.18  -11.40
O  -15.64  -10.07  -12.79
C  -14.54  -9.19  -12.90
H  -13.80  -7.72  -11.42
H  -15.54  -7.56  -11.82
H  -15.83  -8.77  -9.84
H  -14.31  -9.71  -10.06
H  -17.10  -10.01  -11.40
H  -15.93  -11.21  -11.06
H  -14.63  -8.73  -13.90
H  -13.57  -9.72  -12.79
C  -18.74  -10.26  -14.11
C  -19.39  -9.42  -13.02
C  -20.87  -9.60  -13.32
O  -21.00  -10.95  -13.66
C  -19.75  -11.43  -14.24
H  -17.76  -10.65  -13.94
H  -18.75  -9.67  -15.03
H  -19.22  -8.33  -12.96
H  -19.09  -9.93  -12.09
H  -21.15  -8.92  -14.15
H  -21.53  -9.38  -12.50
H  -20.07  -11.68  -15.23
H  -19.43  -12.39  -13.83
C  -23.57  -16.94  -10.33
C  -22.07  -17.08  -10.16
C  -21.71  -15.70  -9.59
O  -22.85  -15.15  -8.96
C  -23.97  -16.08  -9.15
H  -24.07  -17.90  -10.23
H  -23.84  -16.46  -11.29
H  -21.45  -17.30  -11.07
>>>


Published: 07/06/2007